Work order:
Copy the material below from the first line to the one with "0.6641 0.7957" with every line break kept.
Data:
=====
(1)
VASP calculation (r²SCAN) on LuZnPd2 after structural relaxation.

## Properties
Crystal system ... cubic
Formation energy ... -0.8130 eV/atom
DFT total energy ... -24.041 eV per atom
Volume ... 269 Å³ per cell

Cell: 6.459 6.459 6.459 Å, 90.00 90.00 90.00°
Space group Fm-3m (No. 225)
Inequivalent atoms, fractional coordinates:
Lu: 0.000 0.000 0.000 (multiplicity 4)
Zn: 0.000 0.000 0.500 (multiplicity 4)
Pd: 0.250 0.250 0.250 (multiplicity 8)



(2)
VASP calculation (r²SCAN) on LiYS2 after structural relaxation.

## Properties
Crystal system ... tetragonal
Formation energy ... -2.1115 eV/atom
DFT total energy ... -11.804 eV per atom
Volume ... 328 Å³ per cell

Cell: 5.431 5.431 11.106 Å, 90.00 90.00 90.00°
Space group I4_1/amd (No. 141, origin choice 2)
Inequivalent atoms, fractional coordinates:
Li: 0.000 0.250 0.375 (multiplicity 4)
Y: 0.000 0.250 0.875 (multiplicity 4)
S: 0.000 0.250 0.120 (multiplicity 8)

~~~~~

Computed, not measured: crystalline Dy2Te4O11 at its relaxed geometry at the PBE-GGA level of DFT.

As for the total magnetic moment: 0.00 μB per formula unit. As for the crystal system: triclinic.

Cell lengths 5.1757, 6.7635, 16.0670 Å; angles 80.00, 80.73, 67.50 degrees
Space group P1 (No. 1)
Unique sites:
Dy1 0.0000 0.0000 0.0000 [1 per cell]
Dy2 0.2225 0.0901 0.4328 [1 per cell]
Dy3 0.4805 0.5033 0.5000 [1 per cell]
Dy4 0.7372 0.5865 0.9330 [1 per cell]
Te1 0.1941 0.4106 0.0874 [1 per cell]
Te2 0.2159 0.7499 0.7676 [1 per cell]
Te3 0.5087 0.8478 0.1614 [1 per cell]
Te4 0.5138 0.1680 0.8418 [1 per cell]
Te5 0.7509 0.2581 0.2704 [1 per cell]
Te6 0.7668 0.9042 0.5926 [1 per cell]
Te7 0.9607 0.6645 0.3412 [1 per cell]
Te8 0.9626 0.3374 0.6601 [1 per cell]
O1 0.0178 0.3284 0.0170 [1 per cell]
O2 0.0452 0.9281 0.3325 [1 per cell]
O3 0.1198 0.8216 0.5199 [1 per cell]
O4 0.1554 0.9326 0.1324 [1 per cell]
O5 0.1647 0.4228 0.8377 [1 per cell]
O6 0.1946 0.4676 0.4236 [1 per cell]
O7 0.2107 0.0416 0.7187 [1 per cell]
O8 0.2821 0.4246 0.6292 [1 per cell]
O9 0.3104 0.6006 0.0108 [1 per cell]
O10 0.4114 0.9601 0.9245 [1 per cell]
O11 0.4552 0.1546 0.2983 [1 per cell]
O12 0.4972 0.5546 0.2170 [1 per cell]
O13 0.5375 0.1018 0.5111 [1 per cell]
O14 0.5575 0.1463 0.0945 [1 per cell]
O15 0.5700 0.6641 0.7957 [1 per cell]
O16 0.6079 0.7599 0.4144 [1 per cell]
O17 0.6815 0.6479 0.5902 [1 per cell]
O18 0.6868 0.2508 0.9139 [1 per cell]
O19 0.7571 0.7330 0.0643 [1 per cell]
O20 0.7984 0.3310 0.3735 [1 per cell]
O21 0.9179 0.2523 0.5613 [1 per cell]
O22 0.9714 0.8304 0.8677 [1 per cell]

=====

Computed, not measured: crystalline KNaBi2O6 at its relaxed geometry at the PBE-GGA level of DFT.

As for the total magnetic moment: 0.22 μB per formula unit. As for the crystal system: tetragonal.

Cell lengths 4.2551, 4.2551, 8.5291 Å; angles 90.00, 90.00, 90.00 degrees
Space group P4/mmm (No. 123)
Unique sites:
K1 0.0000 0.0000 0.0000 [1 per cell]
Na1 0.0000 0.0000 0.5000 [1 per cell]
Bi1 0.5000 0.5000 0.2507 [2 per cell]
O1 0.0000 0.5000 0.2510 [4 per cell]
O2 0.5000 0.5000 0.0000 [1 per cell]
O3 0.5000 0.5000 0.5000 [1 per cell]

=====

Computed, not measured: crystalline TiCrCuS4 at its relaxed geometry at the PBE-GGA level of DFT.

As for the total magnetic moment: 3.00 μB per formula unit. As for the crystal system: triclinic.

Cell lengths 6.3519, 7.3055, 12.1859 Å; angles 98.44, 94.75, 90.12 degrees
Space group P1 (No. 1)
Unique sites:
Ti1 0.0000 0.0000 0.0000 [1 per cell]
Ti2 0.0807 0.1858 0.7004 [1 per cell]
Ti3 0.4905 0.7370 0.9956 [1 per cell]
Ti4 0.7161 0.5944 0.4042 [1 per cell]
Cr1 0.2237 0.3407 0.4046 [1 per cell]
Cr2 0.2255 0.8552 0.4080 [1 per cell]
Cr3 0.4817 0.2485 0.9932 [1 per cell]
Cr4 0.6145 0.4142 0.7003 [1 per cell]
Cu1 0.1107 0.6686 0.7026 [1 per cell]
Cu2 0.6023 0.9223 0.6959 [1 per cell]
Cu3 0.7302 0.0964 0.4042 [1 per cell]
Cu4 0.9860 0.4941 0.9964 [1 per cell]
S1 0.0514 0.0768 0.3359 [1 per cell]
S2 0.0520 0.5832 0.3381 [1 per cell]
S3 0.1682 0.7581 0.0706 [1 per cell]
S4 0.1690 0.2683 0.0727 [1 per cell]
=====
Response:
(1)
VASP calculation (r²SCAN) on LuZnPd2 after structural relaxation.

## Properties
Crystal system ... cubic
Formation energy ... -0.8130 eV/atom
DFT total energy ... -24.041 eV per atom
Volume ... 269 Å³ per cell

Cell: 6.459 6.459 6.459 Å, 90.00 90.00 90.00°
Space group Fm-3m (No. 225)
Inequivalent atoms, fractional coordinates:
Lu: 0.000 0.000 0.000 (multiplicity 4)
Zn: 0.000 0.000 0.500 (multiplicity 4)
Pd: 0.250 0.250 0.250 (multiplicity 8)



(2)
VASP calculation (r²SCAN) on LiYS2 after structural relaxation.

## Properties
Crystal system ... tetragonal
Formation energy ... -2.1115 eV/atom
DFT total energy ... -11.804 eV per atom
Volume ... 328 Å³ per cell

Cell: 5.431 5.431 11.106 Å, 90.00 90.00 90.00°
Space group I4_1/amd (No. 141, origin choice 2)
Inequivalent atoms, fractional coordinates:
Li: 0.000 0.250 0.375 (multiplicity 4)
Y: 0.000 0.250 0.875 (multiplicity 4)
S: 0.000 0.250 0.120 (multiplicity 8)

~~~~~

Computed, not measured: crystalline Dy2Te4O11 at its relaxed geometry at the PBE-GGA level of DFT.

As for the total magnetic moment: 0.00 μB per formula unit. As for the crystal system: triclinic.

Cell lengths 5.1757, 6.7635, 16.0670 Å; angles 80.00, 80.73, 67.50 degrees
Space group P1 (No. 1)
Unique sites:
Dy1 0.0000 0.0000 0.0000 [1 per cell]
Dy2 0.2225 0.0901 0.4328 [1 per cell]
Dy3 0.4805 0.5033 0.5000 [1 per cell]
Dy4 0.7372 0.5865 0.9330 [1 per cell]
Te1 0.1941 0.4106 0.0874 [1 per cell]
Te2 0.2159 0.7499 0.7676 [1 per cell]
Te3 0.5087 0.8478 0.1614 [1 per cell]
Te4 0.5138 0.1680 0.8418 [1 per cell]
Te5 0.7509 0.2581 0.2704 [1 per cell]
Te6 0.7668 0.9042 0.5926 [1 per cell]
Te7 0.9607 0.6645 0.3412 [1 per cell]
Te8 0.9626 0.3374 0.6601 [1 per cell]
O1 0.0178 0.3284 0.0170 [1 per cell]
O2 0.0452 0.9281 0.3325 [1 per cell]
O3 0.1198 0.8216 0.5199 [1 per cell]
O4 0.1554 0.9326 0.1324 [1 per cell]
O5 0.1647 0.4228 0.8377 [1 per cell]
O6 0.1946 0.4676 0.4236 [1 per cell]
O7 0.2107 0.0416 0.7187 [1 per cell]
O8 0.2821 0.4246 0.6292 [1 per cell]
O9 0.3104 0.6006 0.0108 [1 per cell]
O10 0.4114 0.9601 0.9245 [1 per cell]
O11 0.4552 0.1546 0.2983 [1 per cell]
O12 0.4972 0.5546 0.2170 [1 per cell]
O13 0.5375 0.1018 0.5111 [1 per cell]
O14 0.5575 0.1463 0.0945 [1 per cell]
O15 0.5700 0.6641 0.7957 [1 per cell]